(Job)
Please write out only the lines underneath with the word "atoms" in them.

(Data)
-- begin --
Below is a relaxed structure of FeSO4, with properties calculated at the r2SCAN level.

* calculated formation energy: -143.9 kJ per mole of atoms
* crystal system: orthorhombic

a = 8.7036 Å, b = 6.7473 Å, c = 4.7824 Å
α = 90.00°, β = 90.00°, γ = 90.00°
Closest atoms and distances in Å follow each position.
Atoms (fractional coordinates):
1 Fe 0.0000 0.0000 0.0000  4 O 2.00-2.14
2 Fe 0.0000 0.5000 0.0000  4 O 2.00-2.14
3 Fe 0.5000 0.0000 0.5000  4 O 2.00-2.14
4 Fe 0.5000 0.5000 0.5000  4 O 2.00-2.14
5 S 0.1776 0.2500 0.4759  4 O 1.46-1.49
6 S 0.3224 0.7500 0.9759  4 O 1.46-1.49
7 S 0.6776 0.2500 0.0241  4 O 1.46-1.49
8 S 0.8224 0.7500 0.5241  4 O 1.46-1.49
9 O 0.1211 0.2500 0.7676  1 S 1.48
10 O 0.1253 0.0694 0.3356  1 S 1.46
11 O 0.1253 0.4306 0.3356  1 S 1.46
12 O 0.1508 0.7500 0.9678  1 S 1.49
13 O 0.3492 0.2500 0.4678  1 S 1.49
14 O 0.3747 0.5694 0.8356  1 S 1.46
15 O 0.3747 0.9306 0.8356  1 S 1.46
16 O 0.3789 0.7500 0.2676  1 S 1.48
17 O 0.6211 0.2500 0.7324  1 S 1.48
18 O 0.6253 0.0694 0.1644  1 S 1.46
19 O 0.6253 0.4306 0.1644  1 S 1.46
20 O 0.6508 0.7500 0.5322  1 S 1.49
21 O 0.8492 0.2500 0.0322  1 S 1.49
22 O 0.8747 0.5694 0.6644  1 S 1.46
23 O 0.8747 0.9306 0.6644  1 S 1.46
24 O 0.8789 0.7500 0.2324  1 S 1.48
-- stop --

(Response)
* calculated formation energy: -143.9 kJ per mole of atoms
Closest atoms and distances in Å follow each position.